Multiple Grid Arrangement on Glide


Multiple Grid Arrangement is a novel deep conformational search method for grid-based protein-ligand docking software. This website provide the script of multiple grid arrangement used on Schrödinger Glide.

Download (version 1.0, Last update: 28 Jan, 2016)



 $ cp $SCHRODINGER/mmshare-vXXXXX/python/common/ 


 $ $SCHRODINGER/run $SCHRODINGER/mmshare-vXXXXX/python/common/ inputfile.inp


AstexDiverse.tar.gz (30.3 MB)

* Astex Diverse Dataset (85 complexes) converted Maestro files (.mae) used in the paper of Ban et al., 2016.

Sample input file

redocking example
### XGlide input file ###

RECEPTOR    1g9v.mae
LIGAND      1g9v_ligand.mae,REFPOSE

PPREP                                             TRUE
GRIDGEN_GRID_CENTER                               SELF
GRIDGEN_OUTERBOX                                  30
GRIDGEN_RANDOM_SETTING                            TRUE
SITEMAP                                           TRUE
LIGPREP                                           TRUE
LIGPREP_EPIK                                      TRUE
DOCK_PRECISION                                    SP
DOCK_WRITE_XP_DESC                                FALSE
DOCK_POSE_OUTTYPE                                 poseviewer
NATIVEONLY                                        FALSE
DOCK_LIG_VSCALE                                   0.80
SKIP_DOCKING                                      FALSE
GENERATE_TOP_COMPLEXES                            1

cross-docking example
### XGlide input file ###

RECEPTOR    1g9v.mae
RECEPTOR    1gkc.mae
RECEPTOR    2bsm.mae

Record 1
A molecular structure, C54H48N4O2PPtSTe. Source: the Open Molecules 2025 dataset; level of theory: ωB97M-V with the def2-TZVPD basis set.

```
112
Properties=species:S:1:pos:R:3
Pt -0.231 -0.441 -0.340
N -1.682 -2.485 2.056
C -1.933 -1.612 3.088
C -2.408 -2.125 4.306
C -2.664 -1.302 5.377
C -2.462 0.076 5.279
C -1.986 0.586 4.093
C -1.692 -0.235 2.993
P -1.105 0.572 1.491
C -2.436 1.747 1.071
C -3.519 1.319 0.314
C -4.570 2.178 0.035
C -4.549 3.479 0.510
C -3.479 3.916 1.279
C -2.431 3.054 1.562
C 0.261 1.666 1.999
C 0.733 2.583 1.056
C 1.833 3.373 1.335
C 2.476 3.259 2.563
C 2.019 2.347 3.498
C 0.922 1.541 3.215
H -1.574 -2.141 1.113
H -2.035 -3.421 2.152
H -2.578 -3.192 4.390
H -3.031 -1.732 6.299
H -2.678 0.730 6.110
H -1.836 1.655 4.005
H -3.531 0.308 -0.057
H -5.405 1.839 -0.566
H -5.366 4.151 0.287
H -3.459 4.927 1.660
H -1.603 3.411 2.159
H 0.238 2.675 0.096
H 2.190 4.077 0.595
H 3.332 3.881 2.786
H 2.519 2.255 4.454
H 0.576 0.827 3.951
C 4.683 3.194 -3.245
C 3.623 2.188 -2.901
C 2.678 1.776 -3.841
C 1.687 0.860 -3.534
C 0.627 0.601 -4.553
O 0.900 0.227 -5.670
C -0.783 0.981 -4.203
C -1.812 0.589 -5.053
C -3.093 1.084 -4.862
C -3.353 1.972 -3.821
C -2.332 2.346 -2.956
C -1.052 1.849 -3.150
C 1.635 0.251 -2.271
O 0.744 -0.710 -2.083
C 2.593 0.656 -1.308
C 3.553 1.616 -1.642
C 2.672 -0.030 -0.020
N 1.609 -0.536 0.524
C 1.687 -1.543 1.587
C 1.395 -2.936 1.040
Te 2.757 -3.700 -0.414
C 4.425 -3.945 0.846
C 4.363 -3.840 2.230
C 5.506 -4.027 2.996
C 6.713 -4.340 2.392
C 6.774 -4.461 1.011
C 5.641 -4.253 0.241
C 4.027 -0.158 0.582
C 5.070 -0.665 -0.187
C 6.342 -0.765 0.351
C 6.586 -0.340 1.648
C 5.553 0.186 2.412
C 4.277 0.272 1.883
H 4.448 3.708 -4.176
H 5.656 2.714 -3.370
H 4.786 3.947 -2.463
H 2.686 2.202 -4.838
H -1.581 -0.065 -5.882
H -3.882 0.811 -5.551
H -4.349 2.380 -3.692
H -2.531 3.038 -2.148
H -0.244 2.164 -2.501
H 4.273 1.906 -0.886
H 0.941 -1.292 2.348
H 2.670 -1.525 2.049
H 0.434 -2.956 0.527
H 1.326 -3.646 1.863
H 3.428 -3.628 2.732
H 5.447 -3.941 4.074
H 7.599 -4.497 2.992
H 7.709 -4.715 0.528
H 5.709 -4.338 -0.837
H 4.875 -0.997 -1.199
H 7.144 -1.179 -0.244
H 7.581 -0.417 2.064
H 5.742 0.526 3.421
H 3.469 0.684 2.474
N -4.233 -2.687 -0.834
C -3.567 -1.724 -1.472
S -1.840 -1.796 -1.538
N -4.226 -0.775 -2.124
C -5.641 -0.670 -2.277
C -6.148 -0.516 -3.561
C -7.514 -0.378 -3.743
C -8.372 -0.407 -2.652
C -7.859 -0.563 -1.374
C -6.491 -0.686 -1.178
H -3.692 -3.459 -0.485
H -5.222 -2.825 -0.990
H -3.646 -0.136 -2.663
H -5.473 -0.516 -4.406
H -7.910 -0.258 -4.742
H -9.438 -0.305 -2.799
H -8.522 -0.573 -0.519
H -6.091 -0.760 -0.173
```

Total charge   +1
E_HOMO   -9.5 eV
Molecular weight   1170.723 g mol⁻¹
Frontier orbital gap   0.25088 hartree

***

Record 2
3 unconnected molecules or ions with the total composition C54H51BNO12S. Source: the Open Molecules 2025 dataset; level of theory: ωB97M-V with the def2-TZVPD basis set.

```
120
Properties=species:S:1:pos:R:3
C -5.348 1.200 -0.417
C -4.769 -0.017 -0.659
The entry goes on

LIGAND      1g9v_ligand.mae
LIGAND      1gkc_ligand.mae
LIGAND      2bsm_ligand.mae

PPREP                                             TRUE
GRIDGEN_GRID_CENTER                               SELF
GRIDGEN_OUTERBOX                                  30
GRIDGEN_RANDOM_SETTING                            TRUE
SITEMAP                                           TRUE
SITEMAP_MAXSITES                                  5
SITEMAP_FORCE                                     TRUE
LIGPREP                                           TRUE
LIGPREP_EPIK                                      TRUE
DOCK_PRECISION                                    SP
DOCK_WRITE_XP_DESC                                FALSE
DOCK_POSE_OUTTYPE                                 poseviewer
NATIVEONLY                                        FALSE
DOCK_LIG_VSCALE                                   0.80
SKIP_DOCKING                                      FALSE
GENERATE_TOP_COMPLEXES                            1


Figure: RMSD curve result of re-docking test using Astex diverse dataset.

Blue and green lines indicate percentage of complexes at each RMSD (Å) between ligands of native and predicted complexes in standard Glide (SP mode) and proposed method (multiple grid arrangement) on Glide SP mode, respectively. Note that percentages at 1.0 Å and 2.0 Å indicate docking accuracy.


The script on this web site have been generated by Schrödinger and by the authors. The script is provided free of charge. The script is provided "as is" without warranty of any kind, and may not be error free. Schrödinger and the authors of this script disclaim all warranties, express or implied, including warranties of merchantability and fitness for a paricular purpose. In no event shall Schrödinger or the authors of this script be liable for special, incidental or consequential damages of any kind.

The original script can be download at Schrödinger script center.


ban [at] (Tomohiro Ban, Tokyo Institute of Technology)


Tomohiro Ban, Masahito Ohue, Yutaka Akiyama. Multiple grid arrangement improves ligand docking with unknown binding sites: Application to the inverse docking problem, Computational Biology and Chemistry, 73: 139-146, 2018. doi: 10.1016/j.compbiolchem.2018.02.008. (open access)